Could you transcribe all of the lines underneath character by character?

<<<
# 1
Computed powder diffraction line list of Li2VO2F for Cu Kα (weighted mean of Kα1 and Kα2), from DFT lattice parameters and positions (PBE+U).
Neutral-atom scattering factors, no anomalous dispersion.

Top 8 peaks for 10 to 90 degrees two-theta, by angle:
(hkl), d_spacing, I_rel
0 0 1, 7.198, 62.2
1 0 -1, 4.191, 26.9
1 0 1, 4.133, 46.5
0 1 0, 2.986, 27.3
1 0 -2, 2.961, 26.7
1 1 -2, 2.103, 100.0
2 0 2, 2.066, 41.6
1 1 4, 1.470, 23.6

Crystal structure
a = 5.1007 Å, b = 2.9864 Å, c = 7.1991 Å
α = 90.00°, β = 90.85°, γ = 90.00°
Space group P2/m (No. 10)
Symmetry-distinct sites (fractional):
Li  0.0000  0.0000  0.0000 x1
Li  0.1672  0.5000  0.3208 x2
Li  0.5000  0.5000  0.0000 x1
V  0.2996  0.0000  0.6589 x2
O  0.0000  0.0000  0.5000 x1
O  0.1780  0.5000  0.8232 x2
O  0.5000  0.5000  0.5000 x1
F  0.3469  0.0000  0.1717 x2

=====

# 2
Computed powder diffraction line list of LiV3O5F for Cu Kα (weighted mean of Kα1 and Kα2), from DFT lattice parameters and positions (PBE+U).
Neutral-atom scattering factors, no anomalous dispersion.

Top 8 peaks for 10 to 90 degrees two-theta, by angle:
(hkl), d_spacing, I_rel
0 1 0, 4.465, 98.0
1 0 -1, 4.395, 31.9
1 -1 0, 4.251, 100.0
0 1 -1, 4.162, 34.2
1 1 -1, 2.977, 49.4
-1 1 2, 2.126, 47.4
-1 2 1, 2.082, 33.5
1 2 -2, 1.871, 32.6

Crystal structure
a = 5.2157 Å, b = 5.2157 Å, c = 5.4433 Å
α = 102.80°, β = 112.27°, γ = 110.38°
Space group P1 (No. 1)
Symmetry-distinct sites (fractional):
Li  0.0000  0.0000  0.0000 x1
V  0.3302  0.6510  0.2462 x1
V  0.6277  0.3321  0.0499 x1
V  0.8656  0.3360  0.5829 x1
O  0.0456  0.3538  0.3172 x1
O  0.2237  0.3251  0.8810 x1
O  0.4782  0.0247  0.1872 x1
O  0.7137  0.6074  0.3990 x1
O  0.8675  0.5792  0.9365 x1
F  0.5676  0.0032  0.6868 x1

=====

# 3
Computed powder diffraction line list of Li3V4O11F for Cu Kα (weighted mean of Kα1 and Kα2), from DFT lattice parameters and positions (PBE+U).
Neutral-atom scattering factors, no anomalous dispersion.

Top 8 peaks for 10 to 90 degrees two-theta, by angle:
(hkl), d_spacing, I_rel
0 1 -1, 4.306, 91.0
1 0 -1, 4.258, 100.0
0 1 1, 4.083, 53.5
1 -1 2, 3.036, 41.4
-1 1 2, 2.995, 39.7
1 1 2, 2.355, 43.5
1 -2 3, 1.943, 31.3
-2 1 3, 1.913, 31.9

Crystal structure
a = 5.0027 Å, b = 5.0335 Å, c = 8.9457 Å
α = 93.00°, β = 91.68°, γ = 109.26°
Space group P1 (No. 1)
Symmetry-distinct sites (fractional):
Li  0.0000  0.0000  0.0000 x1
Li  0.1956  0.3386  0.7479 x1
Li  0.6866  0.8338  0.2729 x1
V  0.0820  0.4725  0.2496 x1
V  0.1336  0.9526  0.5071 x1
V  0.5452  0.9173  0.7517 x1
V  0.6552  0.3555  0.0022 x1
O  0.0496  0.1636  0.3701 x1
O  0.2514  0.6884  0.6487 x1
O  0.3134  0.7695  0.3566 x1
O  0.3183  0.4168  0.1290 x1
O  0.3493  0.0964  0.8881 x1
O  0.4254  0.1905  0.5971 x1
O  0.6018  0.6887  0.8750 x1
O  0.7258  0.1532  0.1411 x1
O  0.8581  0.9597  0.6326 x1
O  0.8675  0.2843  0.8675 x1
O  0.9110  0.6660  0.1174 x1
F  0.8140  0.5846  0.3999 x1

=====

# 4
Computed powder diffraction line list of LiVOF3 for Cu Kα (weighted mean of Kα1 and Kα2), from DFT lattice parameters and positions (PBE+U).
Neutral-atom scattering factors, no anomalous dispersion.

Top 8 peaks for 10 to 90 degrees two-theta, by angle:
(hkl), d_spacing, I_rel
2 0 0, 6.206, 100.0
2 0 -1, 4.408, 70.5
1 1 -1, 3.336, 60.9
1 1 1, 2.944, 38.4
3 1 1, 2.278, 39.2
5 1 -1, 2.266, 36.0
5 1 -2, 1.876, 31.7
2 2 -2, 1.668, 32.2

Crystal structure
a = 13.2480 Å, b = 4.7180 Å, c = 4.7173 Å
α = 90.00°, β = 110.45°, γ = 90.00°
Space group C2 (No. 5)
Symmetry-distinct sites (fractional):
Li  0.0000  0.0000  0.0000 x2
Li  0.0000  0.4964  0.5000 x2
V  0.1923  0.5258  0.2177 x4
O  0.2002  0.7799  0.4784 x4
F  0.0800  0.2942  0.2824 x4
F  0.0802  0.7007  0.8732 x4
F  0.1987  0.2186  0.9229 x4

=====

# 5
Computed powder diffraction line list of Li2VO2F2 for Cu Kα (weighted mean of Kα1 and Kα2), from DFT lattice parameters and positions (PBE+U).
Neutral-atom scattering factors, no anomalous dispersion.

Top 8 peaks for 10 to 90 degrees two-theta, by angle:
(hkl), d_spacing, I_rel
>>>

# 1
Computed powder diffraction line list of Li2VO2F for Cu Kα (weighted mean of Kα1 and Kα2), from DFT lattice parameters and positions (PBE+U).
Neutral-atom scattering factors, no anomalous dispersion.

Top 8 peaks for 10 to 90 degrees two-theta, by angle:
(hkl), d_spacing, I_rel
0 0 1, 7.198, 62.2
1 0 -1, 4.191, 26.9
1 0 1, 4.133, 46.5
0 1 0, 2.986, 27.3
1 0 -2, 2.961, 26.7
1 1 -2, 2.103, 100.0
2 0 2, 2.066, 41.6
1 1 4, 1.470, 23.6

Crystal structure
a = 5.1007 Å, b = 2.9864 Å, c = 7.1991 Å
α = 90.00°, β = 90.85°, γ = 90.00°
Space group P2/m (No. 10)
Symmetry-distinct sites (fractional):
Li  0.0000  0.0000  0.0000 x1
Li  0.1672  0.5000  0.3208 x2
Li  0.5000  0.5000  0.0000 x1
V  0.2996  0.0000  0.6589 x2
O  0.0000  0.0000  0.5000 x1
O  0.1780  0.5000  0.8232 x2
O  0.5000  0.5000  0.5000 x1
F  0.3469  0.0000  0.1717 x2

=====

# 2
Computed powder diffraction line list of LiV3O5F for Cu Kα (weighted mean of Kα1 and Kα2), from DFT lattice parameters and positions (PBE+U).
Neutral-atom scattering factors, no anomalous dispersion.

Top 8 peaks for 10 to 90 degrees two-theta, by angle:
(hkl), d_spacing, I_rel
0 1 0, 4.465, 98.0
1 0 -1, 4.395, 31.9
1 -1 0, 4.251, 100.0
0 1 -1, 4.162, 34.2
1 1 -1, 2.977, 49.4
-1 1 2, 2.126, 47.4
-1 2 1, 2.082, 33.5
1 2 -2, 1.871, 32.6

Crystal structure
a = 5.2157 Å, b = 5.2157 Å, c = 5.4433 Å
α = 102.80°, β = 112.27°, γ = 110.38°
Space group P1 (No. 1)
Symmetry-distinct sites (fractional):
Li  0.0000  0.0000  0.0000 x1
V  0.3302  0.6510  0.2462 x1
V  0.6277  0.3321  0.0499 x1
V  0.8656  0.3360  0.5829 x1
O  0.0456  0.3538  0.3172 x1
O  0.2237  0.3251  0.8810 x1
O  0.4782  0.0247  0.1872 x1
O  0.7137  0.6074  0.3990 x1
O  0.8675  0.5792  0.9365 x1
F  0.5676  0.0032  0.6868 x1

=====

# 3
Computed powder diffraction line list of Li3V4O11F for Cu Kα (weighted mean of Kα1 and Kα2), from DFT lattice parameters and positions (PBE+U).
Neutral-atom scattering factors, no anomalous dispersion.

Top 8 peaks for 10 to 90 degrees two-theta, by angle:
(hkl), d_spacing, I_rel
0 1 -1, 4.306, 91.0
1 0 -1, 4.258, 100.0
0 1 1, 4.083, 53.5
1 -1 2, 3.036, 41.4
-1 1 2, 2.995, 39.7
1 1 2, 2.355, 43.5
1 -2 3, 1.943, 31.3
-2 1 3, 1.913, 31.9

Crystal structure
a = 5.0027 Å, b = 5.0335 Å, c = 8.9457 Å
α = 93.00°, β = 91.68°, γ = 109.26°
Space group P1 (No. 1)
Symmetry-distinct sites (fractional):
Li  0.0000  0.0000  0.0000 x1
Li  0.1956  0.3386  0.7479 x1
Li  0.6866  0.8338  0.2729 x1
V  0.0820  0.4725  0.2496 x1
V  0.1336  0.9526  0.5071 x1
V  0.5452  0.9173  0.7517 x1
V  0.6552  0.3555  0.0022 x1
O  0.0496  0.1636  0.3701 x1
O  0.2514  0.6884  0.6487 x1
O  0.3134  0.7695  0.3566 x1
O  0.3183  0.4168  0.1290 x1
O  0.3493  0.0964  0.8881 x1
O  0.4254  0.1905  0.5971 x1
O  0.6018  0.6887  0.8750 x1
O  0.7258  0.1532  0.1411 x1
O  0.8581  0.9597  0.6326 x1
O  0.8675  0.2843  0.8675 x1
O  0.9110  0.6660  0.1174 x1
F  0.8140  0.5846  0.3999 x1

=====

# 4
Computed powder diffraction line list of LiVOF3 for Cu Kα (weighted mean of Kα1 and Kα2), from DFT lattice parameters and positions (PBE+U).
Neutral-atom scattering factors, no anomalous dispersion.

Top 8 peaks for 10 to 90 degrees two-theta, by angle:
(hkl), d_spacing, I_rel
2 0 0, 6.206, 100.0
2 0 -1, 4.408, 70.5
1 1 -1, 3.336, 60.9
1 1 1, 2.944, 38.4
3 1 1, 2.278, 39.2
5 1 -1, 2.266, 36.0
5 1 -2, 1.876, 31.7
2 2 -2, 1.668, 32.2

Crystal structure
a = 13.2480 Å, b = 4.7180 Å, c = 4.7173 Å
α = 90.00°, β = 110.45°, γ = 90.00°
Space group C2 (No. 5)
Symmetry-distinct sites (fractional):
Li  0.0000  0.0000  0.0000 x2
Li  0.0000  0.4964  0.5000 x2
V  0.1923  0.5258  0.2177 x4
O  0.2002  0.7799  0.4784 x4
F  0.0800  0.2942  0.2824 x4
F  0.0802  0.7007  0.8732 x4
F  0.1987  0.2186  0.9229 x4

=====

# 5
Computed powder diffraction line list of Li2VO2F2 for Cu Kα (weighted mean of Kα1 and Kα2), from DFT lattice parameters and positions (PBE+U).
Neutral-atom scattering factors, no anomalous dispersion.

Top 8 peaks for 10 to 90 degrees two-theta, by angle:
(hkl), d_spacing, I_rel